Brandstrat process #2: People

So who are our peeps? The temptation is to do this as a niche of one, and to a great extent it is, but that can be difficult (try psychoanalysing yourself and turning that into strategy). Instead we’ll do it similarly but pull other aspects from a larger demographic of older gamers.

We won’t waste time with multiple personas, which can confuse the process (even though sometimes you just have to).

Our main character, our person, is a guy in this mid to late 40s, who thinks he’s in his 20s. He didn’t do well in school or college, due to a lack of interest and perhaps even borderline ADHD. Since then he’s found it hard to stick to one path, and as such finds himself suddenly in the middle of his life working an entry-level job, or stuck in a middling kind of role which he doesn’t really like, but which pays the bills. He has one child, a stable, happy relationship that keeps him going, and is dedicated to his family. But he knows he has potential, and yearns to do something more interesting. However, he believes this is unrealistic, so he keeps on with his hobbies with no real direction or plan to focus and monetise them.

Meanwhile, his wage stagnates and the cost of living routinely doubles. Every time he moves house he has to commute longer, while the idea of home ownership would push him even further out of the world he grew up in. Let’s call him Grant. It’s an average kind of name for an average kind of person, who isn’t actually average at all. The world just doesn’t fit him.

He’s a quiet kind of person who values quality over quantity socially. He’s been gaming on and off all his life, having grown up with the first shooters and watched the industry evolve. He’s recently started to get back into gaming, call it a mid-life-crisis. He found some of the new boomer shooters that looked cool, but weren’t challenging or engaging, as if like gameplay was an afterthought. He doesn’t have long to game, because he likes to do it when everyone’s gone to bed, so he’s looking for a game he can chip away at and savour, not breeze through and forget. Quality over quantity.

He likes sci-fi, movies, dressing down, reading, beer, is secretly addicted to porn, holidays in Japan where he likes to take photos, biking weekends with the fam, and listening to his records. He avoids unnecessary social contact (waste of time) and prefers to spend time with the family.

- - -
The following is a DFT calculation (PBE) of an optimized crystal structure of Ti2InAu6.

## Properties
energy of formation from the pure elements	-0.287	eV per atom
volume	161.9	Å³/cell
space-group type	C2/m (12)
magnetic moment	0.00	μB/atom
energy	-0.167	Ha/atom

abc: 7.930 7.930 4.973
angles: 98.85 98.85 143.53
Fractional positions:
Ti (0.164, 0.836, 0.000)
Ti (0.836, 0.164, 0.000)
In (0.000, 0.000, 0.500)
Au (0.169, 0.509, 0.674)
Au (0.329, 0.329, 0.168)
Au (0.491, 0.831, 0.326)
Au (0.509, 0.169, 0.674)
Au (0.671, 0.671, 0.832)
Au (0.831, 0.491, 0.326)

---

The following is a DFT calculation (PBE) of an optimized crystal structure of P2HIrAu.

## Properties
energy above the most stable polymorph in this dataset	51	meV per atom
volume	88.2	Å³/cell
space-group type	P1 (1)
magnetic moment	0.00	μB/atom
energy	-0.196	Ha/atom

abc: 3.842 4.807 5.571
angles: 114.73 107.43 90.05
Fractional positions:
P (0.000, 0.000, 0.000)
P (0.040, 0.486, 0.101)
H (0.722, 0.059, 0.360)
Ir (0.530, 0.760, 0.072)
Au (0.509, 0.729, 0.557)

---

The following is a DFT calculation (PBE) of an optimized crystal structure of Dy4Cd5Pd2.

## Properties
energy of formation from the pure elements	-0.503	eV per atom
volume	267.2	Å³/cell
space-group type	P2/m (10)
magnetic moment	0.00	μB/atom
energy	-0.130	Ha/atom

abc: 7.678 3.577 9.750
angles: 90.00 93.74 90.00
Fractional positions:
Dy (0.167, 0.000, 0.357)
Dy (0.232, 0.000, 0.946)
Dy (0.768, 0.000, 0.054)
Dy (0.833, 0.000, 0.643)
Cd (0.188, 0.500, 0.651)
Cd (0.451, 0.500, 0.184)
Cd (0.500, 0.500, 0.500)
Cd (0.549, 0.500, 0.816)
Cd (0.812, 0.500, 0.349)
Pd (0.067, 0.500, 0.139)
Pd (0.933, 0.500, 0.861)

---

The following is a DFT calculation (PBE) of an optimized crystal structure of Ce4CrGe8.

## Properties
energy of formation from the pure elements	-0.525	eV per atom
volume	282.3	Å³/cell
space-group type	Pmm2 (25)
magnetic moment	0.28	μB/atom
energy	-0.218	Ha/atom

abc: 4.078 4.217 16.419
angles: 90.00 90.00 90.00
Fractional positions:
Ce (0.000, 0.000, 0.000)
Ce (0.000, 0.500, 0.489)
Ce (0.500, 0.000, 0.784)
Ce (0.500, 0.500, 0.281)
Cr (0.000, 0.500, 0.704)
Ge (0.000, 0.000, 0.332)
Ge (0.000, 0.000, 0.623)
Ge (0.000, 0.500, 0.140)
Ge (0.000, 0.500, 0.853)
Ge (0.500, 0.000, 0.142)
Ge (0.500, 0.000, 0.434)
Ge (0.500, 0.500, 0.621)
Ge (0.500, 0.500, 0.951)

---

The following is a DFT calculation (PBE) of an optimized crystal structure of AcHo5Au6.

## Properties
energy of formation from the pure elements	-0.830	eV per atom
volume	290.5	Å³/cell
space-group type	P2/m (10)
magnetic moment	0.00	μB/atom
energy	-0.173	Ha/atom

abc: 5.145 7.245 8.198
angles: 90.00 108.03 90.00
Fractional positions:
Ac (0.000, 0.000, 0.000)
Ho (0.000, 0.500, 0.000)
Ho (0.330, 0.000, 0.660)
Ho (0.335, 0.500, 0.670)
Ho (0.665, 0.500, 0.330)
Ho (0.670, 0.000, 0.340)
Au (0.176, 0.259, 0.351)
Au (0.176, 0.741, 0.351)
Au (0.500, 0.275, 0.000)
Au (0.500, 0.725, 0.000)
Au (0.824, 0.259, 0.649)
Au (0.824, 0.741, 0.649)

---
- - -
(Back to the entry)


Gaming is something of an escape for Grant – something he does to switch off in his downtime, recapture some of his ever more distant past and connect to the inner kid that life increasingly demands he ignores. It doesn’t contribute to the goals above, but provides relief.

There is opportunity here to link an in-game story to real-life struggles, especially the struggle to retain a hopeful, youthful perspective.

**These records of crystals were left in the piece by mistake:**
┌──
Compound: Sr2AcMoN4
Source: the Alexandria database
Functional: PBE
Structure: optimized geometry

Computed properties:
- Space-group type: No. 31
- ΔE_f (raw): -0.86 eV per atom
- E_tot: -117.041 eV per cell

abc: 7.842 7.221 5.756
angles: 90.00 90.00 90.00
Sites, in units of the cell vectors:
Sr: 0.249 0.153 0.000
Sr: 0.251 0.847 0.500
Sr: 0.749 0.847 0.500
Sr: 0.751 0.153 0.000
Ac: 0.000 0.363 0.506
Ac: 0.500 0.637 0.006
Mo: 0.000 0.668 0.034
Mo: 0.500 0.332 0.534
N: 0.000 0.407 0.967
N: 0.000 0.675 0.359
N: 0.205 0.790 0.943
N: 0.295 0.210 0.443
N: 0.500 0.325 0.859
N: 0.500 0.593 0.467
N: 0.705 0.210 0.443
N: 0.795 0.790 0.943



Compound: SrAc2MoN4
Source: the Alexandria database
Functional: PBE
Structure: optimized geometry

Computed properties:
- Space-group type: No. 63
- ΔE_f (raw): -0.75 eV per atom
- E_tot: -120.093 eV per cell

abc: 6.668 6.668 13.129
angles: 90.00 90.00 147.70
Sites, in units of the cell vectors:
Sr: 0.097 0.903 0.750
Sr: 0.903 0.097 0.250
Ac: 0.368 0.632 0.540
Ac: 0.368 0.632 0.960
Ac: 0.632 0.368 0.040
Ac: 0.632 0.368 0.460
Mo: 0.178 0.822 0.250
Mo: 0.822 0.178 0.750
N: 0.000 0.000 0.000
N: 0.000 0.000 0.500
N: 0.267 0.733 0.135
N: 0.267 0.733 0.365
N: 0.393 0.607 0.750
N: 0.607 0.393 0.250
N: 0.733 0.267 0.635
N: 0.733 0.267 0.865



Compound: Ac2TaMo2N6
Source: the Alexandria database
Functional: PBE
Structure: optimized geometry

Computed properties:
- Space-group type: No. 166
- ΔE_f (raw): -0.73 eV per atom
- E_tot: -99.716 eV per cell

abc: 6.552 6.552 6.552
angles: 55.47 55.47 55.47
Sites, in units of the cell vectors:
Ac: 0.211 0.211 0.211
Ac: 0.789 0.789 0.789
Ta: 0.000 0.000 0.000
Mo: 0.429 0.429 0.429
Mo: 0.571 0.571 0.571
N: 0.233 0.233 0.767
N: 0.233 0.767 0.233
N: 0.233 0.767 0.767
N: 0.767 0.233 0.233
N: 0.767 0.233 0.767
N: 0.767 0.767 0.233



Compound: AcTb2MoN4
Source: the Alexandria database
Functional: PBE
Structure: optimized geometry

Computed properties:
- Space-group type: No. 63
- ΔE_f (raw): -1.11 eV per atom
- E_tot: -132.752 eV per cell

abc: 6.337 6.337 12.028
angles: 90.00 90.00 147.85
Sites, in units of the cell vectors:
Ac: 0.084 0.916 0.750
Ac: 0.916 0.084 0.250
Tb: 0.370 0.630 0.541
Tb: 0.370 0.630 0.959
Tb: 0.630 0.370 0.041
Tb: 0.630 0.370 0.459
Mo: 0.175 0.825 0.250
Mo: 0.825 0.175 0.750
N: 0.000 0.000 0.000
N: 0.000 0.000 0.500
N: 0.262 0.738 0.118
N: 0.262 0.738 0.382
N: 0.422 0.578 0.750
N: 0.578 0.422 0.250
N: 0.738 0.262 0.618
N: 0.738 0.262 0.882



Compound: AcTh2MoN4
Source: the Alexandria database
Functional: PBE
Structure: optimized geometry

Computed properties:
- Space-group type: No. 63
- ΔE_f (raw): -1.07 eV per atom
- E_tot: -143.277 eV per cell

abc: 6.473 6.473 12.121
angles: 90.00 90.00 147.61
Sites, in units of the cell vectors:
Ac: 0.111 0.889 0.750
Ac: 0.889 0.111 0.250
Th: 0.368 0.632 0.546
Th: 0.368 0.632 0.954
Th: 0.632 0.368 0.046
Th: 0.632 0.368 0.454
Mo: 0.151 0.849 0.250
Mo: 0.849 0.151 0.750
N: 0.000 0.000 0.000
N: 0.000 0.000 0.500
└──


Goals create problems – things in the way. They often conflict with each other, for example saving for a deposit requires the stability and earning potential of a career, to which a side-hustle may only add extra stress and work.

Attached: data records:
- - -
# Cs3Ag2Cl4

Cs3Ag2Cl4 after structural relaxation (PBE, Alexandria).

Properties
The energy relative to the elements, uncorrected is -1.23 eV per atom. The total magnetization is 0.00 μB per formula unit.

Unit cell a=16.973 b=9.252 c=8.891 alpha=90.00 beta=93.45 gamma=90.00
Space group C2/c (No. 15)
Symmetry-distinct sites (fractional):
1 Cs 0.000 0.024 0.250 (multiplicity 4)
2 Cs 0.141 0.411 0.873 (multiplicity 8)
3 Ag 0.186 0.163 0.522 (multiplicity 8)
4 Cl 0.042 0.278 0.525 (multiplicity 8)
5 Cl 0.203 0.051 0.820 (multiplicity 8)
- - -

Like many middle aged men, it almost seems Grant’s goals are not his own, or goals created in the past that dictate his current life, but which he would be tempted to alter if given a chance. In that sense he often feels trapped, a slave to his own life.

The main issue is time – he has little of it, he exists to serve the family unit. If it weren’t for his child, who he loves with all his heart, his life might easily fall apart.

Still, his wife and he find moments to enjoy each other’s company,